Tuesday, February 28, 2006

Opinions... Everybody's got one.



Y'know, I was thinking the other day about how many people actually believe that their opinion should be valued as equal in standing with other people's opinions, and I must say, I find that notion utterly preposterous. Sure, everyone is definitely entitled to their own opinion, but somewhere along the way, people started misinterpreting that as "my views are just as valid as anyone else's."

Attached: records of crystals =
~~~
Computed, not measured: a relaxed structure of NdRe4Si2 at the GGA-PBE level of DFT.

Cell lengths 7.3757, 15.4826, 4.1574 Å; angles 90.00, 90.00, 90.00 degrees
Sites, in units of the cell vectors:
Nd  0.0766  0.1185  0.0000
Nd  0.4234  0.6185  0.5000
Nd  0.5766  0.3815  0.5000
Nd  0.9234  0.8815  0.0000
Re  0.0134  0.7061  0.5000
Re  0.0693  0.5821  0.0000
Re  0.1379  0.4480  0.5000
Re  0.2305  0.3214  0.0000
Re  0.2695  0.8214  0.5000
Re  0.3621  0.9480  0.0000
Re  0.4307  0.0821  0.5000
Re  0.4866  0.2061  0.0000
Re  0.5134  0.7939  0.0000
Re  0.5693  0.9179  0.5000
Re  0.6379  0.0520  0.0000
Re  0.7305  0.1786  0.5000
Re  0.7695  0.6786  0.0000
Re  0.8621  0.5520  0.5000
Re  0.9307  0.4179  0.0000
Re  0.9866  0.2939  0.5000
Si  0.1724  0.9761  0.5000
Si  0.2117  0.7271  0.0000
Si  0.2883  0.2271  0.5000
Si  0.3276  0.4761  0.0000
Si  0.6724  0.5239  0.0000
Si  0.7117  0.7729  0.5000
Si  0.7883  0.2729  0.0000
Si  0.8276  0.0239  0.5000

E ... -9.79 eV/atom
~~~
Back to the text =


The value and validity of an opinion usually stems from said person's experience with the subject at hand. This is why we hire financial advisors, consultants, and professionals to do our work for us. Because we value one person's idealogy and experience over someone else's. I know that it sounds pretty simple, but it is surprising how many times I stumble across someone who subscribes to this nonsense. If I were building a house, I would rather trust the opinion of a contractor with more experience than one that has only built a few houses; just as i would prefer a contractor with less overall construction experience than one that had more experience but had only built metal buildings.

This is why we must carefully examine ourselves and check who we put our trust in. Know your peers! Know their strengths and their weeknesses, and you can accept their opinions at face value. Take it from someone who has been there, the shortest road to personal growth usually lies with whomever you have trusted yourself with. And from my Birthday post, you can tell that I've obviously failed at some things... so take a tip from me. My opinion is worth a lot when trying to avoid failures. I've been there. ;)

It's My Birthday! My buhbuhbuhBirthday!

Holy Crap. This is how I feel. Bear in a cake. Hokey Smokes.

Sometimes it feels as if life just sneaks up on you.

A few years ago I was a young guy in a management position. I felt like I had progressed quite nicely for my age. Having been in "managerial" positions for quite some time now, I can tell you that I am not sure if I HAVE progressed all that far. Its not that I don't like my job, because I love my job, its just that every now and again I look at myself and think "shouldn't I be moving a lot faster?" Now, I don't mean that I should have some sort of ALL POWERFUL job title, on the contrary, sometimes I think I should be stripped of any titles at all and be forced to start all over again. But I guess that's just the defeatist in me.

What I mean by "moving faster" is that I feel like I should be progressing faster as an artist, as a Christian, as a person, and as a husband, father, and provider. I have seen a great deal of personal growth, but I wish that could be more pronounced as I think about where I was and am going... I have a vision, personal goals, and all that other jazz, but it seems sometimes distant and sometimes... very distant. I am believeing, however, that this will be my year to shine, and that the bear won't be back for the big Three-Oh. shudder

I am definitely rooting for this to be the "defining year" of my life where I get all my crap together. I'm afraid of a lot of things... I'm afraid of not being a good father, not being a good husband, brother, son, friend, Christian, person, human, mammal, or multi-celled organism. This is the year I hope to get out of debt (sans mortage, which is... most likely impossible), AND I hope to be more organized. I hope to work less and see my family more. I am hoping that this blog will help me put things in perspective, help me to see growth online and throughout these journal entries that no one reads but me. And maybe that's the point. I can read these and think "you know, some of that crap I wrote came to pass" or "looks like more of the same" or "well, you really had it good LAST year didn't you!??!" I hope to God I don't look back on this year and wish I had it "as good" as this past year.

After having Pancreatitis, Being sick all year, having my Gall Bladder removed, Being in ICU for a week, Being Diagnosed with Diabetes, Acid Reflux, Hyperlipidemia, and slight hypertension, I can only pray that nothing remotely like that happens this time. I'm taking my meds like a good little boy, and that is the beginning of a good thing... But I still need to lose more weight.

Well! Those are my major goals. I feel like I have a "new year's resolution." Except I'm resolving for a new life, not just a year.

Many thanks to Andrew Willmore for not actually permitting me to use the 29 Bear, but still letting me anyway. Huzzah!

Saturday, February 25, 2006

Ion - Kyle Rayner's return to his own book!

I have known about this series for a couple of months now, but I am stoked about it! After a brief hiatus from comics (I quit for a girl... it figures), I returned to my first love in 1996. One of the first things I read was The Final Night by Karl Kesel and Ron Marz.

Now I had never been a DC fan before, so it was a big step for me to try it out at 19 years of age. In this book, I found an everyman hero that was a controversial, and he went by Green Lantern. Now, they were calling this guy Kyle and I knew that Hal Jordan had been Green Lantern when I quit, so i asked around and apparently, DC had replaced a styrofoam character Hal Jordan with a cocky young 20-something guy.

I thought he was interesting, so I tried the Green Lantern series.

I picked up the next available issue that looked like a good starting place (after Hal Jordan's "Funeral" in #81). That happened to be the issue you see on the right - issue #82. I found that Kyle reminded me a lot of Spider-man, which, at the time was just getting back around to being Peter Parker after the whole clone saga thing (yes, I just missed it!) and had not gotten back around to where he needed to be (he still hasn't but that's for another entry). Kyle was the character i could most relate to in all the comics I read. I picked up #83, and after that, I was hooked. I collected all the back issues I could and PRESTO!, Green Lantern became my favorite character. The series remained awesome until Marz left the book in issue #125. There were four fairly awful fill in books until Judd Winick's very mediocre run beginning in #129. Winnick started out good, but he started pushing his ever present political agenda. Eventually, Winnick buckled under the pressure from fans stating that they were tired of Kyle being a rookie, and that he needed to mature the character. Ion was the result.

Ion was a failry decent story centered around Kyle having Omnipotance and Omnipresence. Yes, he was a god. It did mature the character, but I thought it felt a little rushed. All of the sudden, Kyle was handing out super powers like they were candy and making the lame walk (literally!), along with becoming Earth's most powerful being. Oh yes, more so than Superman. He was all powerful, but he gave it all up to recreate what Hal had destroyed. The planet OA.

The book went down hill fast after the Ion storyline. Winnick was often filled in by the atrocious Ben Raab. Worst writer in comics. I swear. When Winnick was replaced by Raab for about 18 issues, I thought I might lose my mind, but then I heard that...

They were bringing back Ron Marz. Yes!

For Kyle's last story. NO!

Kyle's run as the main protagonist of the Green Lantern book ended with #181 (at left), an even 100 issues after I began collecting them. Since then, DC has brought back Hal Jordan as Green Lantern and he remains one of the dullest characters in all of comicdom.

But with the events of Infinite Crisis, Ion has been rebirthed! Sure, he'll no longer be called Green Lantern, but Kyle Rayner is back in his own solo book. I know that DC is marketing him as "what if Kyle's a villain now" but he's not. DC won't make the same mistake twice.

Please if you are into comics at all, chreck this series out. The more it sells, the more likely it is that it will become ongoing, and if it becomes ongoing, and you bought it, I'll give you fifty cents. I promise.

George Washington Carver

Carver Tribute

Wikipedia on George Washington Carver

I took a trip Tuesday to Tuskegee, Alabama for a black history project I was working on for my church. I've known about George Washington Carver for a long time, but last February, I re-educated myself about him for the first time as an adult. You know, there is much more to this man than what the history books read. He loved people, and spent all of his life for the betterment of not only his race, but of mankind in general. He was a botanist, geologist, chemist, teacher, mentor, but most of all a philanthropist, always putting the needs of others before himself.

He developed cost friendly ways to produce food, energy, paint, dyes, medicine, paste, rubber, ink, fabrics, paper, beverages, Cosmetics, insecticides, fuel... and the list goes on and on. Having invented 100 uses for the sweet potato, and over 300 uses for the peanut, this man single handedly changed not only th agricultural industry, but also the way it was viewed.

Read more about him. It'll make you feel good to know that people like George Washington Carver have existed and still exist today!

Friday, February 24, 2006

The most hideous thing ever.

eBay: AMAZING SPIDERMAN ORIG MARVEL COMIC ART OIL PAINTING (item 6608010277 end time Mar-01-06 19:35:35 PST)

Holy Cow... Words fail me.

Black Hole HC by Charles Burns review, No spoilers.

Okay. I expected this book to be strange and artistic, but no way did I expect it to be like this! I purchased this book on Amazon, along with the aforementioned Girls. I had read a brief review/ spotlight on this book in wizard magazine and I thought the concept of a Venereal Disease that mutates the infected was an intriguing idea. There was NO WAY I expected this book to have any sort of emotional pull to it, but it does.

It has an emotional pull alright, just not in the way that you would normally perceive that sort of thing. This book was written and drawn with such raw emotion that you could feel the atmosphere in which these character were immersed. If they were depressed, you not only knew it from the words, but you also sympathized with them on a visceral level. When they lusted, you understood why, even though their situations were often outrageously grotesque.

Another thing I appreciated about the book was its non-sequitor style of storytelling. You have to be careful reading this book, as I could see it being easy to lose track of the main characters by the nature of the storytelling.

I knew that this book would not be a normal book, and it wasn't. I wanted to feel more comfortable with the material, hoping that eventually, the edge would come off - but it didn't. I didn't want to feel for some of the characters in the book, but I did. I just wanted to read a book that required no thought processing, but I was engrossed from the beginning.

This book was extremely disturbing. I loved it.

Girls TPB by the Luna Bros. no spoilers.

Okay, last week I made a purchase on Amazon. Which usually means I did something stupid, like cleaned out whatever disposable income I had accrued (yeah right - accrued). This time was a bit different, as I had... TAX MONEY! So, my love of the Sequential Medium is on another upswing, so it looks like I'll be reviewing a few books as I read them. Girls was the first book I read from said purchase and I must say, I liked it. There were ups and downs, but the biggest sell point for me, as a reader, is that at the end of the book, I was ready for the next installment.

This book is an eerie, small town suspense-thriller much in the same vein as Stephen King's Maine based stories. without going into any plot details, the concept of this book (which hasn't actually been revealed as of this first TPB) is creepy. The Luna Brother do a great job of pulling you into a story by first making you relate to Ethan's plight with Girls and then, somewhere along the way, you become totally immersed in the twisted world of Pennystown and its inhabitants.

The drawback that some may find to this book is the pacing in the script. Personally, I prefer a character driven story to one in which you are plunged, mid-action into some sequence. This may seem cool, but ultimately, because of the lack of character investment, leaves the reader entertained, but not hooked. Of course this is not only just my opinion - its the right opinion. I hear a lot of criticism about the pacing of a lot of current books, i.e. - Girls, and anything Brian Michael Bendis writes. People complain about these titles, as if someone were making them read said titles. So, my only CAVEAT is that there is a lot of character progression, but plot progression is deliberately slow and paced nicely. I can't wait for the second trade...

What is this Blog all about?

Well, to all two of you that will read this blog, it's pretty much whatever I want it to be. Hopefully I'll be able to frequently update it. Some things you may see here are: Thoughts, Opinions, Reviews, and just general Hogwash. I'm gonna post pretty much whatever I feel like I should, so there. Eat that.

Friday, February 10, 2006

Welcome to my pretentious Blog...

Well, I've been thinking about starting a blog for a while now, and here is my first post... Hopefully I'll be able to post something worthwhile at some point in the near future...